WASHINGTON (PAI) – By a 3-2 party line vote on Feb. 4, the National Labor Relations Board proposed rules to change union election procedures, making elections less liable to delay and more transparent. Union leaders welcomed the NLRB’s proposals. The right wing House GOP and the National Retail Federation screamed.
“The rules were needed then,” when a prior NLRB first proposed them in 2011 “and they are still needed now,” AFL-CIO President Richard Trumka said.
“When workers petition for an NLRB election, they should receive a timely opportunity to vote. But the current NLRB election process is riddled with delay and provides too many opportunities for employers to manipulate and drag out the process through costly and unnecessary litigation and deny workers a vote. These rules are an important step in the right direction.”
“Taken together, the rules would help stop companies from abusing the legal process to stall election votes, as many do now,” Teamsters President James Hoffa added. “Workers for too long have been forced to endure unnecessary delays when they have tried to start a union. “We urge the NLRB to move forward with these changes so hard-working Americans can organize and better provide for their families.”
“The proposals” will let the board “more effectively administer” labor law, NLRB Chairman Mark Gaston Pearce said. “The Notice of Proposed Rulemaking presents a number of changes to representation case procedures aimed at modernizing processes, enhancing transparency and eliminating unnecessary litigation and delay.”
The board OK’d similar rules in 2011, but the GOP-named majority on the D.C. Circuit Court of Appeals tossed them out after business groups sued. The judges said the board then lacked a quorum. It has five confirmed members, and a quorum, now.
### These data records were left in the piece by mistake
┌──
Here is a relaxed structure of ZrSiAs2 from Alexandria via LeMat-Bulk. Energies are from PBEsol.

Computed properties:
As for the excess energy over the best structure of this formula in the dataset: 0.00 eV/f.u. The calculation puts the energy relative to the elements, uncorrected at -0.705 eV per atom. The value obtained for the calculated volume is 72.3 Å³/cell. The space group is No. 6. The calculation puts the total magnetization at 0.0 μB/f.u.

a = 3.7407 Å, b = 3.7912 Å, c = 5.4323 Å
α = 110.14°, β = 90.00°, γ = 90.00°
Fractional coordinates of all 4 atoms:
Zr: 0.5000 0.4230 0.7890
As: 0.5000 0.7400 0.3652
Si: 0.0000 0.3378 0.3994
As: 0.0000 0.9992 0.9464

* * * * *

No. 1
The following is a DFT calculation (PBE) of an optimized crystal structure of CuH3Pd.

Output
V: 8.32 Å³ per atom
M_tot: 0.0 μB per formula unit
final energy: -3.65 eV per atom

Lattice parameters (Å, degrees): 3.464 3.464 3.464 90.00 90.00 90.00
Space group Pm-3m (No. 221)
One atom of each set of equivalent atoms:
Cu 0.000 0.000 0.000 (multiplicity 1)
H 0.000 0.500 0.500 (multiplicity 3)
Pd 0.500 0.500 0.500 (multiplicity 1)

No. 2
The following is a DFT calculation (PBE) of an optimized crystal structure of CeTl5Ag.

Output
V: 27.89 Å³ per atom
M_tot: 0.9 μB per formula unit
calculated formation energy: -0.08 eV/atom

Lattice parameters (Å, degrees): 5.006 5.006 7.791 90.00 90.00 90.00
Space group P4/mmm (No. 123)
One atom of each set of equivalent atoms:
Ce 0.000 0.000 0.000 (multiplicity 1)
Tl 0.000 0.500 0.289 (multiplicity 4)
Tl 0.500 0.500 0.000 (multiplicity 1)
Ag 0.000 0.000 0.500 (multiplicity 1)

No. 3
The following is a DFT calculation (PBE) of an optimized crystal structure of La6Tb3Y.

Output
V: 35.00 Å³ per atom
M_tot: 0.0 μB per formula unit
calculated formation energy: 0.13 eV/atom

Lattice parameters (Å, degrees): 10.842 19.569 6.597 90.00 90.00 90.00
Space group Cmc2_1 (No. 36)
One atom of each set of equivalent atoms:
La 0.000 0.030 0.000 (multiplicity 4)
La 0.000 0.286 0.801 (multiplicity 4)
La 0.175 0.459 0.690 (multiplicity 8)
La 0.218 0.290 0.500 (multiplicity 8)
Tb 0.000 0.385 0.225 (multiplicity 4)
Tb 0.172 0.118 0.609 (multiplicity 8)
Y 0.000 0.187 0.236 (multiplicity 4)

No. 4
The following is a DFT calculation (PBE) of an optimized crystal structure of Nd2Sm3Er4.

Output
V: 32.59 Å³ per atom
M_tot: 0.0 μB per formula unit
calculated formation energy: 0.02 eV/atom

Lattice parameters (Å, degrees): 11.299 5.076 10.764 90.00 108.15 90.00
Space group C2/m (No. 12)
One atom of each set of equivalent atoms:
Nd 0.166 0.000 0.221 (multiplicity 4)
Sm 0.000 0.500 0.000 (multiplicity 2)
Sm 0.167 0.000 0.557 (multiplicity 4)
Er 0.000 0.500 0.334 (multiplicity 4)
Er 0.166 0.000 0.889 (multiplicity 4)

No. 5
The following is a DFT calculation (PBE) of an optimized crystal structure of Mg2ScBr.

Output
V: 25.68 Å³ per atom
raw formation energy: -0.374 eV per atom
M_tot: 0.5 μB per formula unit
└──
Unions and many lawmakers say that the real reason the right wingers oppose the rules changes is that they see it as a backdoor attempt by the NLRB and the Obama administration to enact many of the features of the Employee Free Choice Act which was killed several years ago by GOP filibusters.
That law, like the rules changes enacted by the NLRN, would speed up the elections process and curb employer abuses. In addition, the EFCA would have recognized a union as the representative of a workforce as son as the majority of workers in a bargaining unit signed pledge cards indicating they wanted union representation.
Addressing problems with the current union election process, Pearce said, “Unnecessary delay and inefficiencies hurt both employees and employers, These proposals are intended to improve the process for all parties, in all cases, whether non-union employees are seeking a union to represent them or unionized employees are seeking to decertify a union. We look forward to further exchange of ideas to improve the processes” to benefit workers, firms and the U.S.
The board wants to let unions and businesses send documents, including recognition election petitions, electronically, “streamline pre- and post-election procedures to facilitate agreement and eliminate unnecessary litigation.” It wants to add phone numbers and e-mail addresses to eligible voter lists, called Excelsior lists, firms must turn over, via the board, to unions filing the required number of signatures.
(The piece is interrupted by records of crystals)
## Cs3CeY2Se6 (PBE-GGA)

Data for a relaxed Cs3CeY2Se6 crystal.

Geometry as POSCAR:
```
Cs3CeY2Se6
1.0
3.753 -6.500 0.000
3.753 6.500 0.000
-2.503 0.000 8.373
Cs Ce Y Se
3 1 2 6
direct
0.000 0.000 0.000
0.334 0.666 0.000
0.666 0.334 0.000
0.500 0.500 0.500
0.167 0.833 0.500
0.833 0.167 0.500
0.096 0.438 0.313
0.221 0.221 0.686
0.438 0.096 0.313
0.562 0.904 0.687
0.779 0.779 0.314
0.904 0.562 0.687
```

D(E_F): 0.717 states/eV/atom
Space-group type: C2/m (12)
Magnetic moment: 1.01 μB/f.u.
Energy relative to the elements, uncorrected: -1.7061 eV/atom


## BTe2Os (PBE-GGA)

Data for a relaxed BTe2Os crystal.

Geometry as POSCAR:
```
BTe2Os
1.0
3.327 0.000 0.000
-1.663 2.881 0.000
0.000 0.000 23.960
B Te Os
3 6 3
direct
0.000 0.000 0.000
0.333 0.667 0.667
0.667 0.333 0.333
0.000 0.000 0.395
0.000 0.000 0.605
0.333 0.667 0.062
0.333 0.667 0.272
0.667 0.333 0.728
0.667 0.333 0.938
0.000 0.000 0.500
0.333 0.667 0.167
0.667 0.333 0.833
```

D(E_F): 0.570 states/eV/atom
Space-group type: R-3m (166)
Magnetic moment: 0.00 μB/f.u.
Energy relative to the elements, uncorrected: 1.2401 eV/atom


## ZrTlVCd2 (PBE-GGA)

Data for a relaxed ZrTlVCd2 crystal.

Geometry as POSCAR:
```
ZrTlVCd2
1.0
5.291 0.000 0.000
0.000 5.291 0.000
0.000 0.000 4.681
Zr Tl V Cd
1 1 1 2
direct
0.000 0.000 0.000
0.500 0.500 0.000
0.000 0.000 0.500
0.000 0.500 0.500
0.500 0.000 0.500
```

D(E_F): 0.796 states/eV/atom
Space-group type: P4/mmm (123)
Magnetic moment: 0.78 μB/f.u.
DFT formation energy: 3.10 eV per formula unit
Polymorph energy (0 for the lowest one): 0.0 kJ/mol of atoms

~~~~~

# 1
! PBE K4Mg5, relaxed; values from VASP
! Calculated volume = 39.004 A^3/atom
! Density of states at the Fermi level = 12.420 states/eV per cell
! Excess energy over the best structure of this formula in the dataset = 0.662 eV/f.u.
! Total DFT energy (no corrections) = -0.0790 Ry per atom
&SYSTEM
  ibrav = 0, nat = 18, ntyp = 2
/
ATOMIC_SPECIES
K 39.10 K.upf
Mg 24.30 Mg.upf
CELL_PARAMETERS angstrom
-9.2052 2.3632 -4.7281
5.6951 -8.3162 -3.3290
-3.4792 -4.2449 4.6520
ATOMIC_POSITIONS crystal
K 0.0000 0.0000 0.0000
K 0.0000 0.0000 0.5000
K 0.0000 0.3280 0.2500
K 0.6720 0.6720 0.2500
K 0.3280 0.0000 0.2500
K 0.0000 0.6720 0.7500
K 0.3280 0.3280 0.7500
K 0.6720 0.0000 0.7500
Mg 0.0000 0.6394 0.2500
Mg 0.3606 0.3606 0.2500
Mg 0.6394 0.0000 0.2500
Mg 0.0000 0.3606 0.7500
Mg 0.6394 0.6394 0.7500
Mg 0.3606 0.0000 0.7500
Mg 0.6667 0.3333 0.0000
Mg 0.3333 0.6667 0.5000
Mg 0.3333 0.6667 0.0000
Mg 0.6667 0.3333 0.5000

# 2
! PBE KMg2, relaxed; values from VASP
! Calculated volume = 38.111 A^3/atom
! Density of states at the Fermi level = 3.640 states/eV per cell
! Total DFT energy (no corrections) = -0.0908 Ry per atom
&SYSTEM
  ibrav = 0, nat = 6, ntyp = 2
/
ATOMIC_SPECIES
K 39.10 K.upf
Mg 24.30 Mg.upf
CELL_PARAMETERS angstrom
-5.3878 -3.2754 7.1424
4.9264 -1.6103 -7.9943
4.1074 -0.8594 2.7042
ATOMIC_POSITIONS crystal
K 0.9148 0.0852 0.2500
K 0.0852 0.9148 0.7500
Mg 0.6494 0.3506 0.2500
The NLRB also wants to “consolidate all election-related appeals to the board into a single post-election appeals process.” Right now, firms delay union recognition elections by filing challenges to who can vote, when the vote can occur and other details. They then take their complaints to the board and the federal courts.
_Inserted here: crystal structures_
+++
[1]
Density functional theory data (PBE) for crystalline ZrAl2Pb at its relaxed geometry.

Properties
- D(E_F): 2.76 states/eV per cell
- Total DFT energy (no corrections): -4.923 eV per atom

Unit cell a=5.170 b=5.170 c=3.205 alpha=90.00 beta=90.00 gamma=90.00
Space group P4/mmm (No. 123)
Asymmetric unit:
Zr 0.000 0.000 0.000
Al 0.000 0.500 0.500
Pb 0.500 0.500 0.000

***

[2]
Density functional theory data (PBE) for crystalline SrAs2SeI at its relaxed geometry.

Properties
- D(E_F): 7.66 states/eV per cell
- Formation energy (no corrections): 0.695 eV/atom
- Excess energy over the best structure of this formula in the dataset: 463 meV/atom
- Total DFT energy (no corrections): -2.508 eV per atom

Unit cell a=5.994 b=5.994 c=5.637 alpha=90.00 beta=90.00 gamma=90.00
Space group P4/mmm (No. 123)
Asymmetric unit:
Sr 0.000 0.000 0.000
As 0.000 0.500 0.000
Se 0.000 0.000 0.500
I 0.500 0.500 0.500

***

[3]
Density functional theory data (PBE) for crystalline Dy5As2P2 at its relaxed geometry.

Properties
- D(E_F): 28.48 states/eV per cell
- Total DFT energy (no corrections): -6.102 eV per atom

Unit cell a=14.334 b=7.530 c=7.631 alpha=90.00 beta=90.00 gamma=90.00
Space group Cmce (No. 64)
Asymmetric unit:
Dy 0.000 0.000 0.000
Dy 0.133 0.160 0.342
As 0.200 0.000 0.000
P 0.000 0.145 0.644

***

[4]
Density functional theory data (PBE) for crystalline ScCr2Cl at its relaxed geometry.

Properties
- D(E_F): 3.91 states/eV per cell
- Formation energy (no corrections): 0.645 eV/atom
- Excess energy over the best structure of this formula in the dataset: 838 meV/atom
- Total DFT energy (no corrections): -6.212 eV per atom

Unit cell a=4.778 b=4.778 c=3.195 alpha=90.00 beta=90.00 gamma=90.00
Space group P4/mmm (No. 123)
Asymmetric unit:
Sc 0.000 0.000 0.000
Cr 0.000 0.500 0.500
Cl 0.500 0.500 0.000

***

Repeat the fourth record exactly.
Density functional theory data (PBE) for crystalline ScCr2Cl at its relaxed geometry.

Properties
- D(E_F): 3.91 states/eV per cell
- Formation energy (no corrections): 0.645 eV/atom
- Excess energy over the best structure of this formula in the dataset: 838 meV/atom
- Total DFT energy (no corrections): -6.212 eV per atom

Unit cell a=4.778 b=4.778 c=3.195 alpha=90.00 beta=90.00 gamma=90.00
Space group P4/mmm (No. 123)
Asymmetric unit:
Sc 0.000 0.000 0.000
Cr 0.000 0.500 0.500
Cl 0.500 0.500 0.000

***

Question: Which of these has the lowest total DFT energy (no corrections)?
Answer: ScCr2Cl

***

Question: What is the total DFT energy (no corrections) in the second record?
Answer: -2.508 eV per atom

***

Question: Look up the D(E_F) of the second one.
Answer: 7.66 states/eV per cell

=====

# 1
Sm6RuAu2 (PBE, relaxed); spin magnetization = 0.00 μB per cell; crystal system = monoclinic; DOS at the Fermi energy = 18.0 states/eV/cell; calculated formation energy = -0.427 eV per atom
1.0
-2.804 -6.191 0.754
6.844 -3.056 0.363
0.113 1.472 10.241
Sm Ru Au
12 2 4
direct
0.361 0.529 0.749
0.671 0.186 0.563
0.171 0.314 0.063
+++
_Back to the text_
In the meantime, employers can stall the elections and get months – or years – to conduct vicious and often-illegal anti-union campaigns. The NLRB’s proposal would potentially reduce that time. And it prompted the GOP and retailers’ screams.
The radical right GOP majority on the House Education and the Workforce Committee promptly denounced “ambush elections.” It said it would haul the NLRB before the committee on March 5. The retailers launched a PR blitz against the proposed rules. Meanwhile, the board set an April 7 deadline for written comments on them and said it would hold public hearings on the proposals that week, too.
Photo: At a June rally in support of EFCA. Flickr.